Can technology amplify activist voices?
**Attached: records of crystals**
=====
## Sc3GaPd2 (GGA-PBE)

Data for a geometry-optimized Sc3GaPd2 structure.

Cell and atoms, written as CIF:
```
data_Sc3GaPd2
_cell_length_a 3.2786
_cell_length_b 3.2786
_cell_length_c 10.2739
_cell_angle_alpha 90.00
_cell_angle_beta 90.00
_cell_angle_gamma 90.00
_symmetry_space_group_name_H-M 'P 4/m m m'
_symmetry_Int_Tables_number 123
_symmetry_space_group_name_Hall '-P 4 2'
loop_
_atom_site_label
_atom_site_fract_x
_atom_site_fract_y
_atom_site_fract_z
Sc1 0.0000 0.0000 0.0000
Sc2 0.0000 0.0000 0.3289
Ga1 0.5000 0.5000 0.5000
Pd1 0.5000 0.5000 0.1677
```

Computed properties:
Formation energy from the elements (eV/atom): -0.81
Density of states at the Fermi level (states/eV/f.u.): 2.44

## SbTe2Ru (GGA-PBE)

Data for a geometry-optimized SbTe2Ru structure.

Cell and atoms, written as CIF:
```
data_SbTe2Ru
_cell_length_a 3.4913
_cell_length_b 5.0205
_cell_length_c 5.1926
_cell_angle_alpha 90.00
_cell_angle_beta 90.00
_cell_angle_gamma 90.00
_symmetry_space_group_name_H-M 'P m m m'
_symmetry_Int_Tables_number 47
_symmetry_space_group_name_Hall '-P 2 2'
loop_
_atom_site_label
_atom_site_fract_x
_atom_site_fract_y
_atom_site_fract_z
Sb1 0.0000 0.0000 0.0000
Te1 0.0000 0.5000 0.5000
Te2 0.5000 0.5000 0.0000
Ru1 0.5000 0.0000 0.5000
```

Computed properties:
E (eV/atom): -4.29
Density of states at the Fermi level (states/eV/f.u.): 4.35

~~~~~

Material: La2TaTl
Method: DFT, PBE
State: relaxed

Results
Volume = 224.7 Å³/cell
Formation enthalpy at 0 K = 0.209 eV/atom
Excess energy over the best structure of this formula in the dataset = 66 meV per atom

The structure in CIF format:
```
data_La2TaTl
_chemical_formula_sum 'La4 Ta2 Tl2'
_cell_length_a 12.1415
_cell_length_b 3.2801
_cell_length_c 5.8237
_cell_angle_alpha 90.00
_cell_angle_beta 104.34
_cell_angle_gamma 90.00
_space_group_name_H-M_alt 'C 1 m 1'
_space_group_IT_number 8
_space_group_name_Hall 'C -2y'
loop_
_atom_site_label
_atom_site_fract_x
_atom_site_fract_y
_atom_site_fract_z
La1 0.0000 0.0000 0.0000
La2 0.1931 0.0000 0.6462
Ta1 0.2504 0.5000 0.1599
Tl1 0.4360 0.0000 0.4714
```

---

Material: La2TaTl
Method: DFT, PBE
State: relaxed

Results
Volume = 233.7 Å³/cell
Formation enthalpy at 0 K = 0.422 eV/atom
Excess energy over the best structure of this formula in the dataset = 279 meV per atom

The structure in CIF format:
```
data_La2TaTl
_chemical_formula_sum 'La4 Ta2 Tl2'
_cell_length_a 9.9387
_cell_length_b 3.2704
_cell_length_c 7.2350
_cell_angle_alpha 90.00
_cell_angle_beta 96.36
_cell_angle_gamma 90.00
_space_group_name_H-M_alt 'C 1 2/m 1'
_space_group_IT_number 12
_space_group_name_Hall '-C 2y'
loop_
_atom_site_label
_atom_site_fract_x
_atom_site_fract_y
_atom_site_fract_z
La1 0.2476 0.0000 0.2278
Ta1 0.0000 0.5000 0.0000
Tl1 0.0000 0.0000 0.5000
```

---

Material: La2TaTl
Method: DFT, PBE
State: relaxed

Results
Volume = 330.0 Å³/cell
Formation enthalpy at 0 K = 0.378 eV/atom
Excess energy over the best structure of this formula in the dataset = 236 meV per atom
=====
Photo of masked protesters by Richard (CC BY 2.0)
ETHAN CARDINAL: We’re an age where love seems to be dialled down to a simple motion of swiping right, and where watches are used as phones – and who could forget the debunked myth of phones listening in on user conversations. It’s safe to say we’ve overindulged in the race to the future. While it’s easy to nitpick every issue that comes with technological advancements everyone seems to agree with the fact that they connect people from all walks of life and allowed citizens to reach a heightened state of awareness when it comes to social issues. And from this, powerful messages from activists are being heard all over the world.
I’m Ethan Cardinal and in this podcast I talk about the substantial impact technology has in aiding protests. I still find it crazy to believe that a decade ago I carried an iPod Nano, a beaten-up Nokia phone that felt like a brick and a wallet in my pocket. Fast-forward to now where all three of these things have been combined on one device. There are kids (yes, I say kids even though I’m only 22) that don’t have a single memory of life without the internet. I remember overhearing this mother at the supermarket explaining to her son about the concept of Blockbuster and renting movies. I was shocked.
The ubiquitous nature of the internet has had a gigantic impact when it comes to aiding protest. Our aptness to pick and choose what type of information we consume reflecting our beliefs may prompt us to form opinions on social causes and join the causes important to us. Yinka Adegoke is the Africa Editor at Quartz and spoke at the Business of Fashion’s Voice 2019 panel about technology’s capability in heightening social awareness.
YINKA ADEGOKE: Inequality being an issue, is there more inequality? Perhaps, but what there is definitely a lot more of is awareness of inequality. I can see what other people have now, I can see democracy, or the rights change in government in the neighbouring countries, I can see it in real time.
ETHAN CARDINAL: I don’t think you can get a much better example than the January 10th Protest. Appropriately named ‘Sack ScoMo-Fund the Firies-Climate Action Now’ it saw more than 30,000 attendees in the rain calling for Scott Morrison’s resignation and aid for firefighters in the wake of devastating bushfires that burnt through Australia earlier this year. Organised by ‘Uni Students for Climate Justice’ the event reached more than 50,000 thousand people with their message being shared all across social media. Janine Gibson is the Assistant Editor of the Financial Times and spoke at the same panel as Yinka. She discussed the effect technology has on spreading information.
JANINE GIBSON: Everybody sees everything, all protest seem immediate, everybody goes to bed tweeting ‘the world is burning’ whether they’re talking about their bus Q or they’re actual neighbourhood. Or the President of the United States. And there’s this sense of increasing panic, which spreads like wildfire.
ETHAN CARDINAL: While the future is uncertain, the advancement of technology has given nearly anybody the chance to have their voice heard. And it’s through a necessary evil such as social media that this guerrilla tactic of protest within the digital scape can tip the scales of justice.